Housing assistance for conscripts | Our Services | KelaSkip to content

Housing assistance for conscripts

You can get housing assistance for conscripts for an apartment rented on a permanent basis, for a right-of-occupancy home, for an owner-occupied home or for a partial-ownership home.

Kela will cover your housing costs if they fall due during service or during the last calendar month of service. If you and your partner are cohabiting but you are not married, you only get housing assistance for your share of the housing costs.

When can you be granted conscript’s allowance?

What does the housing assistance cover?

Housing costs for which you can get housing assistance include

  • rent
  • maintenance charge or residence charge
  • water and heating charges that are paid separately 
  • electricity and gas bills
  • interest on housing loan, including interest on loans taken out to pay the right-of-occupancy fee
  • maintenance costs for a single-family detached house.

What does the housing assistance not cover?

Housing assistance does not cover amenities such as internet, sauna or parking fees. You also cannot get housing assistance for rental security deposits, advance rent payments, a real estate agent’s commission, real estate tax or home insurance.

Can I get housing assistance?

Kela can pay housing assistance for conscripts to pay the housing costs of

  • a person in military or non-military service
  • the married spouse of a person in military or non-military service
  • a cohabiting partner with whom the person in military or non-military service has a child
  • a child whose guardian is in military or non-military service.

Unmarried partners are not paid housing assistance unless they have a child together with the person in military or non-military service. Married spouses cannot get housing assistance if they have moved out of the home they have shared with their spouse because the relationship has ended.

Non-military service

Kela can pay conscript's allowance towards the housing costs of your permanent home for the duration of the training period of the non-military service. After the training period ends, your non-military service continues with a service period.

During this period, your housing costs will be paid by your place of service and not by Kela. However, if your place of service orders you to live somewhere other than your permanent home, you can get housing assistance from Kela towards the housing costs of your permanent home.

Read more on the website of the Centre for Non-Military Service

The general housing allowance will be reduced for some recipients in 2025

Parliament has approved cuts to the general housing allowance which will enter into force on 1 January 2025. The cuts will reduce the amount of housing allowance for some recipients:

Unrelated to this entry: data records >
Crystalline BaPrGeRh at its relaxed geometry. Source: Alexandria via LeMat-Bulk, functional GGA-PBE.

a b c (Å): 4.3397 4.3397 13.2385
angles (deg): 90.00 90.00 90.00
Fractional coordinates of all 8 atoms:
Ge 0.7500 0.7500 0.9060
Ge 0.2500 0.2500 0.0940
Rh 0.7500 0.2500 0.0000
Pr 0.2500 0.7500 0.5000
Rh 0.2500 0.7500 0.0000
Ba 0.7500 0.7500 0.2148
Pr 0.7500 0.2500 0.5000
Ba 0.2500 0.2500 0.7852

- space-group type = P4/nmm (129)
- calculated formation energy (eV/atom) = -0.25
- ρ (g/cm3) = 6.0

=====

Crystalline Sm2MnGa3Pt4 at its relaxed geometry. Source: Alexandria via LeMat-Bulk, functional GGA-PBE.

a b c (Å): 4.1182 4.1182 11.1895
angles (deg): 90.00 90.00 90.00
Each line ends with the local moment (μB).
Fractional coordinates of all 10 atoms:
Pt 0.5000 0.0000 0.6435  0.07
Mn 0.5000 0.5000 0.5000  3.66
Ga 0.0000 0.5000 0.1331  0.00
Sm 0.5000 0.0000 0.2487  -0.01
Ga 0.5000 0.0000 0.8669  0.00
Pt 0.0000 0.0000 0.0000  0.00
Pt 0.0000 0.5000 0.3565  0.07
Ga 0.0000 0.0000 0.5000  -0.06
Sm 0.0000 0.5000 0.7513  -0.01
Pt 0.5000 0.5000 0.0000  -0.01

- space-group type = P-4m2 (115)
- calculated formation energy (eV/atom) = -0.87
- ρ (g/cm3) = 11.8

=====

Crystalline Sr2PmH at its relaxed geometry. Source: Alexandria via LeMat-Bulk, functional GGA-PBE.

a b c (Å): 3.7862 3.7862 10.7760
angles (deg): 79.88 79.88 60.00
Fractional coordinates of all 4 atoms:
H 0.5000 0.5000 0.5000
Sr 0.8841 0.8841 0.3478
Sr 0.1159 0.1159 0.6522
Pm 0.0000 0.0000 0.0000

- space-group type = R-3m (166)
- raw total energy (eV per atom) = -2.740
- ρ (g/cm3) = 4.1

=====

Crystalline La12PmPr5 at its relaxed geometry. Source: Alexandria via LeMat-Bulk, functional GGA-PBE.

a b c (Å): 11.1494 11.1668 6.4546
angles (deg): 106.87 90.00 60.05
Fractional coordinates of all 18 atoms:
La 0.6660 0.3328 0.9998
La 0.3340 0.6672 0.0002
La 0.1670 0.0000 0.5001
La 0.8330 0.0000 0.4999
La 0.5014 0.3332 0.5002
Pr 0.3333 0.3332 0.0007
Pr 0.8336 0.3328 0.4991
La 0.8347 0.6667 0.4995
La 0.6687 0.0000 0.9999
La 0.4986 0.6668 0.4998
La 0.0012 0.3328 0.0002
Pr 0.5000 0.0000 0.5000
Pm 0.0000 0.0000 0.0000
La 0.3313 0.0000 0.0001
La 0.9988 0.6672 0.9998
Pr 0.1664 0.6672 0.5009
Pr 0.6667 0.6668 0.9993
La 0.1653 0.3333 0.5005

- space-group type = C2/m (12)
- calculated formation energy (eV/atom) = 0.01
- ρ (g/cm3) = 6.4

=====

Repeat the first record exactly.
Crystalline BaPrGeRh at its relaxed geometry. Source: Alexandria via LeMat-Bulk, functional GGA-PBE.

a b c (Å): 4.3397 4.3397 13.2385
angles (deg): 90.00 90.00 90.00
Fractional coordinates of all 8 atoms:
Ge 0.7500 0.7500 0.9060
Ge 0.2500 0.2500 0.0940
Rh 0.7500 0.2500 0.0000
Pr 0.2500 0.7500 0.5000
Rh 0.2500 0.7500 0.0000
Ba 0.7500 0.7500 0.2148
Pr 0.7500 0.2500 0.5000
Ba 0.2500 0.2500 0.7852

- space-group type = P4/nmm (129)
- calculated formation energy (eV/atom) = -0.25
- ρ (g/cm3) = 6.0

=====

- Which of these has the highest ρ?
  Sm2MnGa3Pt4

* * * * *

Entry 1:

  • General housing allowance will no longer be available for owner-occupied homes.
  • The assets of all members of the household will affect the amount of the housing allowance.
  • The maximum housing costs taken into account will be reduced in some cities, because there will be changes in the way municipalities are divided into categories for maximum housing costs.

Read more about the changes to the general housing allowance.

Between two parts of the article: calculated crystals:
........
First-principles (PBE) data for a relaxed structure of RbNbSe2I, as listed in Alexandria via LeMat-Bulk.

Cell: 5.6190 6.1793 5.6190 Å, 90.00 90.00 90.00°
Last column: nearest neighbours and their distance in Å.
Atoms (fractional coordinates):
I 0.0000 0.0000 0.0000  4 Se 2.81, 2 Rb 3.09
Nb 0.5000 0.5000 0.5000  4 Rb 3.97, 8 Se 4.18
Se 0.0000 0.0000 0.5000  2 I 2.81
Se 0.5000 0.0000 0.0000  2 I 2.81
Rb 0.0000 0.5000 0.0000  2 I 3.09

space-group type = P4/mmm
N(E_F) = 8.2 states/eV per cell
uncorrected formation energy = 6.65 eV per formula unit

=====

No. 1
VASP calculation (GGA-PBE) on a relaxed Rb3LiSi crystal.

Unit cell a=6.888 b=6.888 c=6.888 alpha=90.00 beta=90.00 gamma=90.00
Space group Pm-3m (No. 221)
One atom of each set of equivalent atoms:
Rb 0.000 0.000 0.500 x3
Li 0.500 0.500 0.500 x1
Si 0.000 0.000 0.000 x1

For the polymorph energy (0 for the lowest one), the calculation gives 0 meV per atom. Its density of states at the Fermi level is 2.703 states/eV/f.u. The value obtained for the formation energy from raw total energies is 0.4392 eV per atom. The total moment comes out at 0.400 μB/atom.

---

No. 2
VASP calculation (GGA-PBE) on a relaxed RbLiSi2 crystal.

Unit cell a=7.273 b=7.273 c=7.273 alpha=90.00 beta=90.00 gamma=90.00
Space group Fm-3m (No. 225)
One atom of each set of equivalent atoms:
Rb 0.000 0.000 0.000 x4
Li 0.000 0.000 0.500 x4
Si 0.250 0.250 0.250 x8

For the polymorph energy (0 for the lowest one), the calculation gives 473 meV per atom. Its density of states at the Fermi level is 0.245 states/eV/f.u. The value obtained for the formation energy from raw total energies is 0.7365 eV per atom. The total moment comes out at 0.000 μB/atom.

---

No. 3
VASP calculation (GGA-PBE) on a relaxed RbLi3Si crystal.

Unit cell a=5.078 b=5.078 c=5.078 alpha=90.00 beta=90.00 gamma=90.00
Space group Pm-3m (No. 221)
One atom of each set of equivalent atoms:
Rb 0.000 0.000 0.000 x1
Li 0.000 0.500 0.500 x3
Si 0.500 0.500 0.500 x1

For the polymorph energy (0 for the lowest one), the calculation gives 0 meV per atom. Its density of states at the Fermi level is 0.001 states/eV/f.u. The value obtained for the formation energy from raw total energies is -0.0780 eV per atom. The total moment comes out at 0.000 μB/atom.

---

No. 4
VASP calculation (GGA-PBE) on a relaxed RbLiSi2 crystal.

Unit cell a=4.832 b=4.832 c=19.115 alpha=90.00 beta=90.00 gamma=90.00
Space group I-42d (No. 122)
One atom of each set of equivalent atoms:
Rb 0.000 0.000 0.000 x4
Li 0.000 0.000 0.500 x4
Si 0.002 0.750 0.625 x8

For the polymorph energy (0 for the lowest one), the calculation gives 0 meV per atom. Its density of states at the Fermi level is 1.283 states/eV/f.u. The value obtained for the formation energy from raw total energies is 0.2639 eV per atom. The total moment comes out at 0.000 μB/atom.

---

No. 5
VASP calculation (GGA-PBE) on a relaxed RbLi2Si crystal.

Unit cell a=5.616 b=5.616 c=16.859 alpha=90.00 beta=90.00 gamma=90.00
........

Housing assistance in different situations 

If you received general housing allowance from Kela prior to entering service, the allowance will continue to be paid throughout your service.

  • Your general housing allowance will not be discontinued because you enter service. However, you must apply for a review of your housing allowance because your income has changed.
  • Additionally, you can be granted housing assistance for conscripts. The amount of housing assistance equals the difference between the general housing allowance and your housing costs.

Rented home

You can get housing assistance from Kela for a rented home if you have lived in rented housing on a permanent basis for at least 3 months before entering service. In such a situation, you can move before entering service or while you are in service, as you have already lived independently before entering service.

If, on the other hand, you have rented your home less than 3 months before entering service or after you have already entered service, and you did not live in rented housing before that, you cannot usually be granted housing assistance. In that case, Kela covers your housing costs only if there was a legitimate reason for you to rent the new home.

Legitimate reasons include

  • moving in with your partner
  • having a child
  • you will be starting studies or work far from your current place of residence within 2 to 3 months of finishing your service
  • you get an apartment after being on a waiting list for a long time.

Legitimate reasons do not include

  • wanting to live independently
  • your parents no longer want you to live at home.

Owner-occupied homes

You can get housing assistance towards the housing costs of an owner-occupied home. It does not matter if you have moved to the owner-occupied home less than 3 months before entering military or non-military service or during your service.

If an unmarried cohabiting couple receives general housing allowance jointly from Kela, the person in military or non-military service can get housing assistance for conscripts in addition to the general housing allowance.

However, you can get housing assistance only towards your own housing costs, which in practice means half the shared housing costs. When calculating your housing assistance, half the general housing allowance will be deducted from your housing costs.

Example: Do you live alone with your live-in partner

Ella and Joona rent an apartment together. The rent is EUR 700 per month. Ella and Joona have been granted general housing allowance. The general housing allowance is EUR 200[J01]  per month. Joona enters military service.

To calculate Joona’s housing assistance, first the general housing allowance is deducted from the rent. The amount of his housing assistance is then half the rent after general housing allowance has been deducted from it.

  • 700 (rent) – 200 (housing allowance) = 500
  • 500:2 = 250 = Joona’s housing assistance. 

Rented home

If you are in military or non-military service and you and your cohabiting partner who you are not married to do not have any children together, your housing assistance can cover half at most of the housing costs of your rented home.

'''
No. 1
The following is a PBE-GGA calculation of a relaxed BaCa2MnCl8 crystal, from Alexandria. Values from VASP.

Computed properties:
The calculation puts the raw total energy at -4.546 eV per atom. For the uncorrected formation energy, the calculation gives -2.057 eV/atom. The symmetry is P2/m. The size of the total moment comes out at 5.00 μB/cell.

```
&SYSTEM
  ibrav = 0, nat = 12, ntyp = 4
/
ATOMIC_SPECIES
Ba 137.33 Ba.upf
Ca 40.08 Ca.upf
Mn 54.94 Mn.upf
Cl 35.45 Cl.upf
CELL_PARAMETERS angstrom
-0.9872 -1.9131 -6.1814
6.2955 -0.1273 -1.1170
0.2750 -8.1560 2.4806
ATOMIC_POSITIONS angstrom
Ba 0.1375 -4.0780 1.2403
Ca 2.8649 -7.2706 -1.7482
Ca 2.7183 -2.9258 -3.0696
Mn 0.0000 0.0000 0.0000
Cl 4.7814 -2.1309 -1.3969
Cl 3.9351 -1.4023 -5.0476
Cl 0.6423 -3.3247 -4.8631
Cl 0.8019 -8.0655 -3.4209
Cl 1.6482 -8.7940 0.2299
Cl 4.9410 -6.8717 0.0454
Cl 3.9868 -5.3892 -3.4983
Cl 1.5965 -4.8072 -1.3194
```

No. 2
The following is a PBE-GGA calculation of a relaxed ZnP2H8O10 crystal, from Alexandria. Values from VASP.

Computed properties:
The calculation puts the raw total energy at -5.703 eV per atom. The symmetry is P2_1/c. The size of the total moment comes out at 0.00 μB/cell.

```
&SYSTEM
  ibrav = 0, nat = 42, ntyp = 4
/
ATOMIC_SPECIES
Zn 65.41 Zn.upf
P 30.97 P.upf
H 1.01 H.upf
O 16.00 O.upf
CELL_PARAMETERS angstrom
10.0540 0.0000 0.0000
0.0000 5.3503 0.0539
0.0000 4.7985 7.2531
ATOMIC_POSITIONS angstrom
Zn 0.0000 0.0000 0.0000
Zn 5.0270 2.3992 3.6265
P 2.1796 6.4742 2.4874
P 2.8474 8.8735 6.1140
P 7.8744 3.6745 4.8196
P 7.2066 1.2753 1.1930
H 0.7586 7.1835 6.0811
H 4.2684 4.7843 2.4546
H 9.2954 2.9653 1.2259
H 5.7856 5.3645 4.8524
H 9.5431 6.6298 5.3412
H 5.5379 4.2306 1.7147
H 0.5109 3.5190 1.9658
H 4.5161 5.9182 5.5923
H 1.0856 5.8446 4.3532
H 3.9414 3.4453 0.7266
H 8.9684 4.3042 2.9538
H 6.1126 6.7034 6.5804
H 2.2635 2.9976 3.5456
H 2.7635 5.3968 7.1721
H 7.7905 7.1512 3.7614
H 7.2905 4.7520 0.1349
O 1.7139 0.7726 1.0197
O 3.3131 3.1718 4.6462
O 8.3401 9.3761 6.2873
O 6.7409 6.9769 2.6608
O 3.6944 6.3631 2.6825
O 1.3326 8.7623 6.3091
O 6.3596 3.7857 4.6245
O 8.7214 1.3864 0.9979
O 1.4119 5.5038 3.4600
O 3.6151 7.9030 7.0865
O 8.6421 4.6450 3.8470
O 6.4389 2.2457 0.2205
O 1.7250 2.6158 2.7523
O 3.3020 5.0150 6.3788
O 8.3290 7.5330 4.5547
O 6.7520 5.1337 0.9282
O 0.3453 6.3221 5.7547
O 4.6817 3.9229 2.1281
O 9.7087 3.8267 1.5523
O 5.3723 6.2259 5.1789
```

No. 3
The following is a PBE-GGA calculation of a relaxed NaGa3As crystal, from Alexandria. Values from VASP.

Computed properties:
The calculation puts the raw total energy at -2.750 eV per atom. The symmetry is Pm-3m. The size of the total moment comes out at 0.00 μB/cell. The excess energy over the best structure of this formula in the dataset is 0.000 eV/atom. The value obtained for the formation energy is 0.26 eV per atom.

```
&SYSTEM
  ibrav = 0, nat = 5, ntyp = 3
/
ATOMIC_SPECIES
Na 22.99 Na.upf
As 74.92 As.upf
Ga 69.72 Ga.upf
CELL_PARAMETERS angstrom
-2.9107 -3.7188 1.9700
'''

Owner-occupied homes

Unmarried couple who own a home together

If you do not have any children together and you jointly own a home, your housing assistance can cover half of your housing costs at most.

Unmarried couple, only one partner owns the home

If you alone own your home, you can get housing assistance towards the interest payments on your housing loan. Other housing costs, such as maintenance charges, electricity bills and water charges, are halved.

If your partner alone owns your home, you can get housing assistance towards the interest payments on their housing loan only if you have contributed to the interest payments. You need to send Kela proof of payment showing that you have paid interest on the loan before entering service. Other housing costs, such as maintenance charges, electricity bills and water charges, are halved. No proof of payment is needed for such costs.

If you received general housing allowance from Kela prior to entering military or non-military service, the allowance will continue to be paid throughout the service.

  • Your general housing allowance will not be discontinued because you enter service. However, you must apply for a review of your housing allowance because your income has changed.
  • Additionally, you can be granted housing assistance for conscripts. The amount of housing assistance equals the difference between the general housing allowance and your housing costs.

If you live with a partner you are married to or with a live-in partner with whom you have a child together, Kela will pay your housing assistance to them. This means that the housing assistance is not paid to the person in military or non-military service.

Housing costs include housing costs for the entire home.

If you come from outside Finland to perform military or non-military service, Kela can pay you or your partner housing assistance even if your home is not in Finland. In that case, Kela needs further information about your housing costs.

Kela can also pay you housing assistance for a home you have rented in Finland for the duration of your service. In that case, your housing assistance is at most the equivalent of the rent of a rented one-room apartment in the same municipality. Other housing costs are covered in the same way as they are for Finnish residents. You do not need to rent the home three months before entering military or non-military service.

How to apply for housing assistance for conscripts

Apply for housing assistance for conscripts about a month before entering service. Housing assistance cannot be paid retroactively.

Apply for housing assistance in the same way you apply for other types of conscript’s allowance.

Last modified 22/1/2025